Exercise
The reader should echo all of the listing below unchanged.
Input
<<<
VASP calculation (PBE) on crystalline Cd2CoP at its relaxed geometry.

## Properties
- Space group: No. 122
- Calculated total energy: -3.29 eV per atom
- Formation energy from the elements: 0.2943 eV/atom

Cell lengths 6.773, 6.773, 6.773 Å; angles 95.50, 95.50, 143.94 degrees
Fractional coordinates of all 8 atoms:
Cd 0.010 0.625 0.885
Cd 0.375 0.260 0.385
Cd 0.740 0.125 0.115
Cd 0.875 0.990 0.615
Co 0.250 0.750 0.500
Co 0.500 0.500 0.000
P 0.000 0.000 0.000
P 0.750 0.250 0.500

* * * * *

## A
Compound: Sr3Y
Source: Alexandria
Functional: PBE
Structure: optimized geometry

Values from the calculation:
M_tot: 0.1738 μB/atom

a b c (Å): 3.9228 3.7763 12.8357
angles (deg): 90.00 90.00 90.00
Last column: nearest neighbours and their distance in Å.
Fractional positions:
Sr (0.0000, 0.5000, 0.4637)  6 Sr 3.78-4.10
Sr (0.5000, 0.0000, 0.7189)  2 Y 3.75, 4 Sr 3.78-3.92
Sr (0.5000, 0.5000, 0.1828)  6 Sr 3.78-4.10, 4 Y 3.88
Y (0.0000, 0.0000, 0.9679)  6 Sr 3.75-3.88, 4 Y 3.78-3.92



## B
Compound: Sr3Y
Source: Alexandria
Functional: PBE
Structure: optimized geometry

Values from the calculation:
M_tot: 0.1887 μB/atom

a b c (Å): 8.1095 8.1095 6.5664
angles (deg): 90.00 90.00 120.00
Last column: nearest neighbours and their distance in Å.
Fractional positions:
Y (0.3333, 0.6667, 0.2500)  12 Sr 3.99-4.06
Y (0.6667, 0.3333, 0.7500)  12 Sr 3.99-4.06
Sr (0.1718, 0.3437, 0.7500)  8 Sr 3.93-4.18, 4 Y 3.99-4.06
Sr (0.6563, 0.8282, 0.7500)  8 Sr 3.93-4.18, 4 Y 3.99-4.06
Sr (0.1718, 0.8282, 0.7500)  8 Sr 3.93-4.18, 4 Y 3.99-4.06
Sr (0.8282, 0.1718, 0.2500)  8 Sr 3.93-4.18, 4 Y 3.99-4.06
Sr (0.8282, 0.6563, 0.2500)  8 Sr 3.93-4.18, 4 Y 3.99-4.06
Sr (0.3437, 0.1718, 0.2500)  8 Sr 3.93-4.18, 4 Y 3.99-4.06



It is A that is the least stable of them.



## A
Compound: Sr3Y
Source: Alexandria
Functional: PBE
Structure: optimized geometry

Values from the calculation:
M_tot: 0.2594 μB/atom

a b c (Å): 7.0625 7.0625 4.0003
angles (deg): 90.00 90.00 110.26
Last column: nearest neighbours and their distance in Å.
Fractional positions:
Sr (0.0000, 0.5000, 0.5000)  8 Sr 4.00-4.06, 4 Y 4.06
Sr (0.5000, 0.5000, 0.0000)  10 Sr 4.00-4.06, 2 Y 4.04
Sr (0.5000, 0.0000, 0.5000)  8 Sr 4.00-4.06, 4 Y 4.06
Y (0.0000, 0.0000, 0.0000)  2 Y 4.00, 10 Sr 4.04-4.06



## B
Compound: Sr3Y
Source: Alexandria
Functional: PBE
Structure: optimized geometry

Values from the calculation:
M_tot: 0.0001 μB/atom

a b c (Å): 7.4713 7.4713 7.4713
angles (deg): 117.09 117.09 117.09
Last column: nearest neighbours and their distance in Å.
Fractional positions:
Y (0.0000, 0.5000, 0.5000)  2 Y 3.86, 6 Sr 3.90
Sr (0.5000, 0.5000, 0.0000)  6 Sr 3.86-3.90, 2 Y 3.90
Sr (0.0000, 0.0000, 0.0000)  6 Sr 3.86-3.90, 2 Y 3.90
Sr (0.5000, 0.0000, 0.5000)  6 Sr 3.86-3.90, 2 Y 3.90



## C
Compound: Sr3Y
Source: Alexandria
Functional: PBE
Structure: optimized geometry

Values from the calculation:
M_tot: 0.2179 μB/atom

a b c (Å): 7.0026 7.0026 7.0026
angles (deg): 131.79 131.79 70.56
Last column: nearest neighbours and their distance in Å.
Fractional positions:
Y (0.0000, 0.0000, 0.0000)  12 Sr 4.04
Sr (0.2500, 0.7500, 0.5000)  4 Y 4.04, 8 Sr 4.04
Sr (0.5000, 0.5000, 0.0000)  8 Sr 4.04, 4 Y 4.04
Sr (0.7500, 0.2500, 0.5000)  8 Sr 4.04, 4 Y 4.04



It is C that is the least stable of them.



## A
Compound: SrY2
Source: Alexandria
Functional: PBE
Structure: optimized geometry

Values from the calculation:
M_tot: 0.0000 μB/atom

a b c (Å): 6.9737 6.9737 6.9737
angles (deg): 60.00 60.00 60.00
Last column: nearest neighbours and their distance in Å.
Fractional positions:
Y (0.1250, 0.1250, 0.1250)  6 Y 3.49
Y (0.1250, 0.6250, 0.1250)  6 Y 3.49
Y (0.6250, 0.1250, 0.1250)  6 Y 3.49
Y (0.1250, 0.1250, 0.6250)  6 Y 3.49
Sr (0.5000, 0.5000, 0.5000)  12 Y 4.09, 4 Sr 4.27
Sr (0.7500, 0.7500, 0.7500)  12 Y 4.09, 4 Sr 4.27



## B
Compound: SrY2
Source: Alexandria
Functional: PBE
Structure: optimized geometry

Values from the calculation:
M_tot: 0.4507 μB/atom

a b c (Å): 18.0842 18.0842 18.0842
>>>
Worked solution
VASP calculation (PBE) on crystalline Cd2CoP at its relaxed geometry.

## Properties
- Space group: No. 122
- Calculated total energy: -3.29 eV per atom
- Formation energy from the elements: 0.2943 eV/atom

Cell lengths 6.773, 6.773, 6.773 Å; angles 95.50, 95.50, 143.94 degrees
Fractional coordinates of all 8 atoms:
Cd 0.010 0.625 0.885
Cd 0.375 0.260 0.385
Cd 0.740 0.125 0.115
Cd 0.875 0.990 0.615
Co 0.250 0.750 0.500
Co 0.500 0.500 0.000
P 0.000 0.000 0.000
P 0.750 0.250 0.500

* * * * *

## A
Compound: Sr3Y
Source: Alexandria
Functional: PBE
Structure: optimized geometry

Values from the calculation:
M_tot: 0.1738 μB/atom

a b c (Å): 3.9228 3.7763 12.8357
angles (deg): 90.00 90.00 90.00
Last column: nearest neighbours and their distance in Å.
Fractional positions:
Sr (0.0000, 0.5000, 0.4637)  6 Sr 3.78-4.10
Sr (0.5000, 0.0000, 0.7189)  2 Y 3.75, 4 Sr 3.78-3.92
Sr (0.5000, 0.5000, 0.1828)  6 Sr 3.78-4.10, 4 Y 3.88
Y (0.0000, 0.0000, 0.9679)  6 Sr 3.75-3.88, 4 Y 3.78-3.92



## B
Compound: Sr3Y
Source: Alexandria
Functional: PBE
Structure: optimized geometry

Values from the calculation:
M_tot: 0.1887 μB/atom

a b c (Å): 8.1095 8.1095 6.5664
angles (deg): 90.00 90.00 120.00
Last column: nearest neighbours and their distance in Å.
Fractional positions:
Y (0.3333, 0.6667, 0.2500)  12 Sr 3.99-4.06
Y (0.6667, 0.3333, 0.7500)  12 Sr 3.99-4.06
Sr (0.1718, 0.3437, 0.7500)  8 Sr 3.93-4.18, 4 Y 3.99-4.06
Sr (0.6563, 0.8282, 0.7500)  8 Sr 3.93-4.18, 4 Y 3.99-4.06
Sr (0.1718, 0.8282, 0.7500)  8 Sr 3.93-4.18, 4 Y 3.99-4.06
Sr (0.8282, 0.1718, 0.2500)  8 Sr 3.93-4.18, 4 Y 3.99-4.06
Sr (0.8282, 0.6563, 0.2500)  8 Sr 3.93-4.18, 4 Y 3.99-4.06
Sr (0.3437, 0.1718, 0.2500)  8 Sr 3.93-4.18, 4 Y 3.99-4.06



It is A that is the least stable of them.



## A
Compound: Sr3Y
Source: Alexandria
Functional: PBE
Structure: optimized geometry

Values from the calculation:
M_tot: 0.2594 μB/atom

a b c (Å): 7.0625 7.0625 4.0003
angles (deg): 90.00 90.00 110.26
Last column: nearest neighbours and their distance in Å.
Fractional positions:
Sr (0.0000, 0.5000, 0.5000)  8 Sr 4.00-4.06, 4 Y 4.06
Sr (0.5000, 0.5000, 0.0000)  10 Sr 4.00-4.06, 2 Y 4.04
Sr (0.5000, 0.0000, 0.5000)  8 Sr 4.00-4.06, 4 Y 4.06
Y (0.0000, 0.0000, 0.0000)  2 Y 4.00, 10 Sr 4.04-4.06



## B
Compound: Sr3Y
Source: Alexandria
Functional: PBE
Structure: optimized geometry

Values from the calculation:
M_tot: 0.0001 μB/atom

a b c (Å): 7.4713 7.4713 7.4713
angles (deg): 117.09 117.09 117.09
Last column: nearest neighbours and their distance in Å.
Fractional positions:
Y (0.0000, 0.5000, 0.5000)  2 Y 3.86, 6 Sr 3.90
Sr (0.5000, 0.5000, 0.0000)  6 Sr 3.86-3.90, 2 Y 3.90
Sr (0.0000, 0.0000, 0.0000)  6 Sr 3.86-3.90, 2 Y 3.90
Sr (0.5000, 0.0000, 0.5000)  6 Sr 3.86-3.90, 2 Y 3.90



## C
Compound: Sr3Y
Source: Alexandria
Functional: PBE
Structure: optimized geometry

Values from the calculation:
M_tot: 0.2179 μB/atom

a b c (Å): 7.0026 7.0026 7.0026
angles (deg): 131.79 131.79 70.56
Last column: nearest neighbours and their distance in Å.
Fractional positions:
Y (0.0000, 0.0000, 0.0000)  12 Sr 4.04
Sr (0.2500, 0.7500, 0.5000)  4 Y 4.04, 8 Sr 4.04
Sr (0.5000, 0.5000, 0.0000)  8 Sr 4.04, 4 Y 4.04
Sr (0.7500, 0.2500, 0.5000)  8 Sr 4.04, 4 Y 4.04



It is C that is the least stable of them.



## A
Compound: SrY2
Source: Alexandria
Functional: PBE
Structure: optimized geometry

Values from the calculation:
M_tot: 0.0000 μB/atom

a b c (Å): 6.9737 6.9737 6.9737
angles (deg): 60.00 60.00 60.00
Last column: nearest neighbours and their distance in Å.
Fractional positions:
Y (0.1250, 0.1250, 0.1250)  6 Y 3.49
Y (0.1250, 0.6250, 0.1250)  6 Y 3.49
Y (0.6250, 0.1250, 0.1250)  6 Y 3.49
Y (0.1250, 0.1250, 0.6250)  6 Y 3.49
Sr (0.5000, 0.5000, 0.5000)  12 Y 4.09, 4 Sr 4.27
Sr (0.7500, 0.7500, 0.7500)  12 Y 4.09, 4 Sr 4.27



## B
Compound: SrY2
Source: Alexandria
Functional: PBE
Structure: optimized geometry

Values from the calculation:
M_tot: 0.4507 μB/atom

a b c (Å): 18.0842 18.0842 18.0842